-- Wanted --
Now count the lines underneath that contain the word "distance" and give the number alone.

-- Source --
Here is crystalline BaCe3Y2Te6 at its relaxed geometry from Alexandria via LeMat-Bulk. Energies are from GGA-PBE.

## Properties
- E_form (uncorrected): -1.37 eV/atom
- V: 394.47 Å³ per cell
- DOS(E_F): 23.84 states/eV/f.u.
- Magnetic moment: 3.86 μB per formula unit

Unit cell a=4.4852 b=9.1668 c=10.1380 alpha=103.62 beta=102.78 gamma=90.00
Last column: nearest neighbours and their distance in Å.
Atoms (fractional coordinates):
Ba: 0.5000 0.0000 0.0000  6 Te 3.31-3.35
Ce: 0.5000 0.5000 0.0000  6 Te 3.12-3.23
Ce: 0.8387 0.1725 0.6773  6 Te 3.15-3.29
Ce: 0.1613 0.8275 0.3227  6 Te 3.15-3.29
Y: 0.8302 0.6612 0.6604  6 Te 3.11-3.18
Y: 0.1698 0.3388 0.3396  6 Te 3.11-3.18
Te: 0.3257 0.9045 0.6514  3 Ce 3.15-3.29, 2 Y 3.18, 1 Ba 3.35
Te: 0.6681 0.5771 0.3362  3 Y 3.11-3.14, 3 Ce 3.23
Te: 0.6743 0.0955 0.3486  3 Ce 3.15-3.29, 2 Y 3.18, 1 Ba 3.35
Te: 0.0070 0.2682 0.0140  3 Ce 3.12-3.23, 1 Y 3.13, 2 Ba 3.31
Te: 0.9930 0.7318 0.9860  3 Ce 3.12-3.23, 1 Y 3.13, 2 Ba 3.31
Te: 0.3319 0.4229 0.6638  3 Y 3.11-3.14, 3 Ce 3.23

Here is crystalline BaCeTh2 at its relaxed geometry from Alexandria via LeMat-Bulk. Energies are from GGA-PBE.

## Properties
- V: 141.59 Å³ per cell
- Formation enthalpy at 0 K: 327 meV per atom
- DOS(E_F): 7.79 states/eV/f.u.
- Magnetic moment: 0.00 μB per formula unit

Unit cell a=3.5735 b=3.5735 c=12.9681 alpha=82.08 beta=82.08 gamma=60.00
Last column: nearest neighbours and their distance in Å.
Atoms (fractional coordinates):
Ce: 0.5000 0.5000 0.5000  6 Th 3.48, 6 Ce 3.57
Th: 0.0937 0.0937 0.7188  3 Ce 3.48, 6 Th 3.57, 1 Ba 3.60
Th: 0.9063 0.9063 0.2812  3 Ce 3.48, 6 Th 3.57, 1 Ba 3.60
Ba: 0.0000 0.0000 0.0000  6 Ba 3.57, 2 Th 3.60

Here is crystalline BaCeTl2 at its relaxed geometry from Alexandria via LeMat-Bulk. Energies are from GGA-PBE.

## Properties
- V: 137.81 Å³ per cell
- Formation enthalpy at 0 K: -283 meV per atom
- DOS(E_F): 9.51 states/eV/f.u.
- Magnetic moment: 1.23 μB per formula unit

Unit cell a=4.0719 b=4.0719 c=8.3118 alpha=90.00 beta=90.00 gamma=90.00
Last column: nearest neighbours and their distance in Å.
Atoms (fractional coordinates):
Tl: 0.0000 0.0000 0.7840  4 Ce 3.39, 1 Tl 3.59, 4 Ba 3.72
Tl: 0.0000 0.0000 0.2160  4 Ce 3.39, 1 Tl 3.59, 4 Ba 3.72
Ba: 0.5000 0.5000 0.5000  8 Tl 3.72, 4 Ba 4.07, 2 Ce 4.16
Ce: 0.5000 0.5000 0.0000  8 Tl 3.39

Here is crystalline Ba5CeTl6 at its relaxed geometry from Alexandria via LeMat-Bulk. Energies are from GGA-PBE.

## Properties
- V: 453.57 Å³ per cell
- Formation enthalpy at 0 K: -359 meV per atom
- DOS(E_F): 15.00 states/eV/f.u.
- Magnetic moment: 1.04 μB per formula unit

Unit cell a=6.0130 b=8.3272 c=10.4195 alpha=66.44 beta=73.10 gamma=90.00
Last column: nearest neighbours and their distance in Å.
Atoms (fractional coordinates):
Tl: 0.8455 0.6258 0.3072  1 Ce 3.33, 3 Ba 3.56-3.63, 1 Tl 3.68
Tl: 0.8456 0.0672 0.3075  1 Ce 3.34, 3 Ba 3.56-3.63, 1 Tl 3.68
Tl: 0.5003 0.7905 0.9998  2 Ce 3.48, 1 Tl 3.49, 6 Ba 3.76-3.86
Tl: 0.4997 0.2095 0.0002  2 Ce 3.48, 1 Tl 3.49, 6 Ba 3.76-3.86
Tl: 0.1544 0.9328 0.6925  1 Ce 3.34, 3 Ba 3.56-3.63, 1 Tl 3.68
Tl: 0.1545 0.3742 0.6928  1 Ce 3.33, 3 Ba 3.56-3.63, 1 Tl 3.68
Ba: 0.6843 0.1838 0.6325  8 Tl 3.56-3.76
Ba: 0.3397 0.3402 0.3202  8 Tl 3.78-3.84, 6 Ba 4.12-4.19
Ba: 0.0000 0.5000 0.0000  8 Tl 3.63-3.86
Ba: 0.6603 0.6598 0.6798  8 Tl 3.78-3.84, 6 Ba 4.12-4.19
Ba: 0.3157 0.8162 0.3675  8 Tl 3.56-3.76
Ce: 0.0000 0.0000 0.0000  8 Tl 3.33-3.48

Here is crystalline BaCe2Tl9 at its relaxed geometry from Alexandria via LeMat-Bulk. Energies are from GGA-PBE.

## Properties
- V: 359.40 Å³ per cell
- Formation enthalpy at 0 K: -233 meV per atom
- DOS(E_F): 16.54 states/eV/f.u.
- Magnetic moment: 1.90 μB per formula unit

Unit cell a=4.9295 b=4.9295 c=14.7898 alpha=90.00 beta=90.00 gamma=90.00
Last column: nearest neighbours and their distance in Å.
Atoms (fractional coordinates):
Ba: 0.0000 0.0000 0.0000  12 Tl 3.49-3.62
Ce: 0.0000 0.0000 0.3427  12 Tl 3.39-3.49
Ce: 0.0000 0.0000 0.6573  12 Tl 3.39-3.49

-- Here it is --
5